Possession of the Alpha (Moving....Again)

-- Attached: calculated molecules --
____________
Density functional theory data (wB97M-V/def2-TZVPD) for one molecule with the formula C23H33N5O.

Each line ends with the Löwdin charge.
Element x y z (Å)
C (-8.17, -1.83, -0.16)  -0.055
C (-7.54, -0.84, 0.78)  -0.362
C (-8.52, 0.08, 1.45)  -0.069
C (-6.23, -0.75, 1.00)  -0.106
C (-5.16, -1.60, 0.38)  -0.185
C (-4.81, -1.24, -1.07)  -0.161
C (-4.26, 0.17, -1.32)  -0.354
C (-5.37, 1.23, -1.34)  -0.063
C (-3.19, 0.58, -0.30)  -0.174
N (-2.18, -0.45, -0.11)  -0.174
C (-1.24, -0.59, -1.20)  -0.175
C (-0.18, 0.52, -1.25)  -0.109
C (0.56, 0.61, 0.09)  -0.270
N (1.47, 1.73, 0.08)  -0.074
N (0.96, 2.97, 0.06)  0.077
C (1.99, 3.79, 0.02)  -0.140
C (3.20, 3.09, 0.02)  -0.003
C (2.82, 1.76, 0.05)  -0.222
N (3.59, 0.60, 0.05)  0.168
C (4.95, 0.56, 0.09)  -0.422
O (5.66, 1.54, 0.14)  0.097
C (5.51, -0.83, 0.07)  -0.115
C (6.73, -1.06, 0.69)  0.002
C (7.27, -2.33, 0.67)  -0.045
C (6.55, -3.33, 0.03)  -0.141
N (5.41, -3.12, -0.59)  0.064
C (4.90, -1.90, -0.58)  -0.103
C (-0.45, 0.76, 1.22)  -0.114
C (-1.48, -0.38, 1.15)  -0.185
H (-9.08, -2.23, 0.27)  0.078
H (-8.43, -1.34, -1.10)  0.086
H (-7.50, -2.65, -0.39)  0.067
H (-8.01, 0.81, 2.08)  0.073
H (-9.21, -0.50, 2.08)  0.078
H (-9.11, 0.61, 0.71)  0.080
H (-5.89, 0.00, 1.70)  0.106
H (-5.48, -2.64, 0.39)  0.108
H (-4.25, -1.53, 0.98)  0.093
H (-5.69, -1.38, -1.70)  0.108
H (-4.05, -1.96, -1.39)  0.107
H (-3.81, 0.16, -2.31)  0.126
H (-5.87, 1.28, -0.38)  0.063
H (-4.95, 2.21, -1.57)  0.077
H (-6.11, 0.98, -2.10)  0.081
H (-2.76, 1.54, -0.62)  0.124
H (-3.67, 0.75, 0.66)  0.122
H (-0.74, -1.56, -1.07)  0.125
H (-1.79, -0.62, -2.14)  0.115
H (0.52, 0.33, -2.06)  0.120
H (-0.65, 1.49, -1.44)  0.109
H (1.13, -0.31, 0.25)  0.142
H (1.84, 4.85, 0.00)  0.099
H (4.20, 3.47, -0.01)  0.090
H (3.08, -0.27, 0.06)  0.118
H (7.24, -0.23, 1.17)  0.122
H (8.21, -2.55, 1.15)  0.104
H (6.92, -4.35, 0.00)  0.106
H (3.98, -1.79, -1.14)  0.114
H (-0.95, 1.73, 1.12)  0.108
H (0.06, 0.75, 2.19)  0.122
H (-0.97, -1.33, 1.30)  0.123
H (-2.21, -0.26, 1.96)  0.118

Values from the calculation:
Maximum force (eV Å⁻¹): 0.8
Net charge: 0
SMILES: CC(C)=CCC[C@@H](C)CN1CCC(n2nccc2NC(=O)c2cccnc2)CC1
HOMO (hartree): -0.311
Gap between HOMO and LUMO (eV): 8.742
Energy above the lowest of the compared OMol25 structures with the same formula, charge and spin (kJ/mol): 249.5

***

Density functional theory data (wB97M-V/def2-TZVPD) for an isolated ion of composition C23H34ClN2O2 and charge +1.

Each line ends with the Löwdin charge.
Element x y z (Å)
O (1.62, -0.68, -2.40)  0.074
C (2.56, -1.38, -2.59)  -0.743
Cl (3.79, -0.87, -3.83)  0.665
C (2.84, -2.75, -1.89)  -0.069
C (2.41, -2.81, -0.40)  -0.049
C (1.08, -3.41, -0.12)  -0.173
O (0.26, -3.86, -1.16)  0.037
C (0.58, -3.51, 1.25)  0.086
C (1.44, -3.05, 2.33)  0.026
C (2.73, -2.47, 1.98)  0.007
N (3.16, -2.35, 0.66)  -0.018
C (4.49, -1.69, 0.46)  -0.082
C (4.33, -0.11, 0.73)  -0.147
C (4.61, 0.77, -0.54)  -0.194
C (3.99, 2.23, -0.49)  -0.189
C (2.54, 2.30, 0.10)  -0.231
____________

Start from the beginning

"Oh it's going in the box anyway,I cannot wait to see you in this" I teased,her face became white with shame and she then smirked at me. I knew where this was going... And I liked it allot.

"You really wanna see me in that?" She asked sarcastically,raising her right eyebrow and placing her hand on her hip. I pulled a face then bobbed my head from side to side.

"Or without it,I'm really not that bothered" I licked my bottom lip and saw as her eyes followed my tongue. She shook her head then grimaced.

"Ugh your disgusting" she snickers then hits my arm playfully ad finally grabs the thong from me and dumps it in the box. "You! Stop playing with my underwear" she orders pointing at me then turning around to continue boxing up the rest of her things.

Another hour after that we were done,all her clothes and any other things she wanted to bring were packed up in the boxes. We began taking them down the stairs and putting them in the trunk and backseat of my car. They all fit in....well just about. She quickly wrote her mom a note and stuck it on the mirror in the hall so her mom would know she had already gone to the pack house. She had also mentioned about her skipping school and that she was really really sorry and she could punish her as she see fit. I laughed at that bit,she seriously was a goody 2 shoes. We locked the door then headed over to the car,and buckled up. I turned to her and took her hand in mine,causing her to turn to me with bright eyes. Her eyes were so beautiful,Hazel just like her name.

"Ready" I ask smiling she nods at me.

"Ready" she echoes

With that I turn towards the wheel and start it up. I'm not usually the sappy type but I was really excited about hazel moving into the pack house. I can't even describe how I felt about her,she was just so loving,quirky,kind and so many other loveable qualitys. I couldn't wait till half term break,it was pretty close as Hazel had joined the school halfway through the semester. The idea of spending a whole week with Hazel undisturbed by school really excited me.

Hazels P.O.V

We had been driving for god knows how long,I know it sounds weird but I was distracted by Joshua. All he was doing was driving but he was just so gorgeous. His green eyes sparkling every now and then as he began singing along to Bruno Mars Treasure. I was really so lucky to have found my mate so early in life,you can find your mate from the age of 16 and my mom didn't find hers until she was 25. So I was seriously lucky and he was hot! So that was a bonus,he was also funny,kind and I know he doesn't like to show it but I could see he was actually quite sensitive. I shook my head as I realised we were outside the pack house. Joshua smiled then unbuckled his belt and ran round the back of the car to grab some boxes. I came out and did the same and we made our way to the lift. Thankfully I didn't have to make anymore trips as josh had asked some other pack members to help,we were done in that one trip. The pack members left,leaving me and josh alone in his I mean our room.

He rubbed the back of his neck awkwardly and looked over to me nervously.

"If its too soon,you can move into the room opposite mine and then move in here when your ready" I could see in his eyes he wanted me in with him an honestly I also wanted to be in with him. I shook my head smiling "no I'm good in here" he smiled widely and walked closer to me,he wrapped me in his arms and I felt the tingles rushing across wherever he touched. I went on my tiptoes and planted my lips on his. I didn't seeped the kiss and neither did he, we were happy with just being near each other. I sighed then turned towards the boxes "right lets get unpacking" I say lifting a box onto the bed and opening it. He nods and points to a white wardrobe next to a black one. "That's your wardrobe" he says,I jump a little "I get my own wardrobe?" I squeel making him pull a face. I laugh and we start unpacking.

Possession of the Alpha (Completed)Where stories live. Discover now